Entries
- - -
[1]
C7H12NPS in the gas phase in a non-equilibrium geometry, computed with the ωB97M-V functional and the def2-TZVPD basis.

Properties
strongest force on any atom = 5.28 eV Å⁻¹
HOMO-LUMO gap = 8.1 eV
ΔE to the lowest compared entry with this formula, charge and spin = 16.0 kcal per mole
SMILES = [H]\N=C/C(C)=C\C(C)=P\SC
highest occupied orbital energy = -8.157 eV
E_LUMO = -0.01 eV

Structure (ORCA input):
```
! RIJCOSX wB97M-V def2-TZVPD def2/J DEFGRID3
* xyz 0 1
C 0.6047 -1.0733 -0.5216
C -1.5536 -0.3264 -1.4021
C -0.5518 -1.3134 -1.2814
C 0.9313 0.1579 0.2544
C -0.6092 -2.5819 -2.0792
C 2.1050 0.9270 -0.3173
C -0.3743 2.4113 3.7411
N -2.5851 -0.3709 -2.1789
P 0.1094 0.5338 1.6794
S 1.0676 2.1012 2.6825
H 1.4022 -1.7751 -0.5496
H -1.3630 0.4785 -0.7687
H -2.6572 -1.0899 -2.8271
H -1.4583 -3.1758 -1.9327
H 0.3392 -3.2149 -1.9967
H -0.7098 -2.0727 -3.0776
H 1.8907 1.9689 -0.5698
H 2.5660 0.3203 -1.1391
H 2.7977 0.8450 0.6059
H -0.8003 1.3318 3.9590
H -1.1697 2.8891 3.1348
H 0.0186 3.0295 4.5851
*
```

Mulliken population analysis, charges in e, atoms 1 to 8: -0.949, -0.106, 0.944, 0.508, -1.345, -1.309, -0.754, -0.772


[2]
A molecular structure, C21H13BCl2F4N2O5ReS6, computed with the ωB97M-V functional and the def2-TZVPD basis.

Properties
strongest force on any atom = 0.62 eV Å⁻¹
HOMO-LUMO gap (alpha / beta) = 5.9 / 6.2 eV
ΔE to the lowest compared entry with this formula, charge and spin = 21.8 kcal per mole
highest occupied orbital energy (alpha / beta) = -2.123 / -2.406 eV
expectation value of S² = 3.772
E_LUMO (alpha / beta) = 3.75 / 3.75 eV

Structure (ORCA input):
```
! RIJCOSX wB97M-V def2-TZVPD def2/J DEFGRID3
* xyz -2 4
Re 0.4916 -0.6761 0.2686
S 3.8954 -7.1785 0.1081
C 3.1034 -5.7197 0.1192
S 3.1944 -4.5713 -1.1575
C 2.1551 -3.3463 -0.4714
C 1.6453 -3.6401 0.7427
S 0.5564 -2.6138 1.6401
S 2.1068 -5.1831 1.4143
S 1.8472 -1.8813 -1.3501
Cl -2.8117 -3.4428 -1.9360
C -3.1603 -1.7484 -1.7922
C -4.3827 -1.2777 -2.2870
C -4.6976 0.0468 -2.1985
Cl -6.2355 0.6031 -2.8296
C -3.7976 0.9677 -1.6128
C -4.0217 2.3558 -1.5024
C -3.0661 3.1506 -0.9381
C -1.8759 2.5585 -0.4693
N -1.6431 1.2785 -0.5453
C -2.5712 0.4761 -1.1079
C -2.2281 -0.9117 -1.1913
O -1.1225 -1.3684 -0.7315
H -5.0684 -1.9756 -2.7451
H -4.9502 2.7724 -1.8710
H -3.2111 4.2184 -0.8471
H -1.0920 3.1674 -0.0385
C -5.7100 4.5855 2.4442
C -4.6997 3.4701 2.4627
C -3.4017 3.6886 2.9094
C -2.4727 2.6608 2.9383
C -2.8354 1.3910 2.5158
C -4.1275 1.1555 2.0718
C -5.0469 2.1922 2.0421
S -1.7163 -0.0028 2.6327
O -2.3462 -1.0650 1.8995
O -1.5045 -0.1659 4.0523
N -0.3481 0.3810 1.8915
C 0.6090 1.2099 2.6169
C 2.0392 0.8608 2.2177
O 2.9739 1.3774 2.7925
O 2.1458 0.0336 1.2258
H -5.2213 5.5584 2.4871
H -6.3810 4.5122 3.3026
H -6.3230 4.5499 1.5435
H -3.1066 4.6831 3.2217
H -1.4706 2.8531 3.2845
H -4.3818 0.1674 1.7169
H -6.0455 2.0085 1.6643
H 0.5015 1.1025 3.6976
H 0.4951 2.2666 2.3527
F 1.9251 1.4268 -3.2452
B 0.7577 1.5054 -2.5175
F 0.3888 2.8257 -2.3218
F -0.2566 0.7641 -3.0822
F 1.0504 0.9288 -1.1872
*
```

Mulliken population analysis, charges in e, atoms 1 to 8: 2.360, -0.354, 0.115, -0.117, 0.182, 0.264, -0.539, -0.114


[3]
A molecular structure, C35H30N4O5RuS in a non-equilibrium geometry, computed with the ωB97M-V functional and the def2-TZVPD basis.

Properties
strongest force on any atom = 1.00 eV Å⁻¹
HOMO-LUMO gap (alpha / beta) = 8.0 / 7.2 eV
ΔE to the lowest compared entry with this formula, charge and spin = 42.9 kcal per mole
highest occupied orbital energy (alpha / beta) = -13.649 / -13.655 eV
expectation value of S² = 6.008
E_LUMO (alpha / beta) = -5.62 / -6.46 eV

Structure (ORCA input):
```
! RIJCOSX wB97M-V def2-TZVPD def2/J DEFGRID3
* xyz 2 5
Ru 0.0168 0.2529 1.0270
O -0.8170 3.1876 4.4635
C -0.5448 2.1350 3.7319
O -0.8706 2.0046 2.5670
C 0.2440 1.0873 4.4306
C 0.5221 1.0924 5.7865
C 1.3753 0.1151 6.2812
C 1.9184 -0.8101 5.4071
C 1.5314 -0.7569 4.0793
N 0.7085 0.1690 3.5937
C 2.1218 -1.6147 3.0132
O 3.2249 -2.0328 2.9549
O 1.1836 -1.7382 2.0088
- - -
Wanted
It remains to duplicate every line earlier on that contains the word "Properties".
Reply
Properties
Properties
Properties